View Full Version : [NEWS] iPhone users aren't the only ones to get cool apps

09-10-2009, 04:40 PM
The long-awaited flood of Google Android devices is about to hit the market, which should help bring more cool applications to new Android phones.

Motorola will be the next big manufacturer to announce its Android phone. The company plans to formally unveil it at an event on Thursday in San Francisco. Motorola has already been reaching out to developers to get them on board to create new applications that it hopes will drive demand for the new phones.

Mobile applications for smartphones are hot. The fact that Apple's App Store has had more than 1 billion downloads after only being around for a year means that smartphone users are hungry for applications that make their phones more useful and fun. But developers, whether they are large or small, have limited resources and time, and they must choose which platforms to develop applications for first.

So far, it's clear that the iPhone is the first platform developers target. As a result, Apple now has the largest mobile App Store on the market with over 75,000 applications. What this means for consumers is that it's more likely that the newest and hottest applications are available on the iPhone before other devices.

More Can Be Read >> HERE (http://news.cnet.com/8301-30686_3-10348863-266.html?tag=nl.e703)

09-10-2009, 04:56 PM
i feel android will be the ones that will give the iphone the biggest run for their money, they have the name of google behind them, the look and htc now behind them, motorola making for them, samsung also making a device thats android based.... with all these different providers and manufacturers of these android phones will help grow the app store majorly since its not just covering one service provider and just one device.... when and if the iphone goes to other providers i can seee that helping them amjorly too, but by the time that happens i feel android will be hot on their tales already and have the momentum going sicne many would use the upgraddes to gett trhe android phone not knowing the iphone is coming to their service provider.

Unrelated to this article: materials data =
┌──
Density functional theory data (PBE) for a geometry-optimized PrAgPtAu structure.

Computed properties:
Space-group type: F-43m
E, eV/atom: -4.7902
Energy of formation, eV/f.u.: -2.2
D(E_F), states/eV per cell: 6.35
Calculated density, kg/m3: 12356

Cell lengths 7.0101, 7.0101, 7.0101 Å; angles 90.00, 90.00, 90.00 degrees
Closest atoms and distances in Å follow each position.
Atoms (fractional coordinates):
Pr: 0.0000 0.0000 0.0000  4 Pt 3.04, 4 Au 3.04
Pr: 0.0000 0.5000 0.5000  4 Pt 3.04, 4 Au 3.04
Pr: 0.5000 0.0000 0.5000  4 Pt 3.04, 4 Au 3.04
Pr: 0.5000 0.5000 0.0000  4 Pt 3.04, 4 Au 3.04
Ag: 0.0000 0.0000 0.5000  4 Au 3.04, 4 Pt 3.04
Ag: 0.0000 0.5000 0.0000  4 Au 3.04, 4 Pt 3.04
Ag: 0.5000 0.0000 0.0000  4 Au 3.04, 4 Pt 3.04
Ag: 0.5000 0.5000 0.5000  4 Au 3.04, 4 Pt 3.04
Pt: 0.2500 0.2500 0.7500  4 Pr 3.04, 4 Ag 3.04
Pt: 0.2500 0.7500 0.2500  4 Pr 3.04, 4 Ag 3.04
Pt: 0.7500 0.2500 0.2500  4 Pr 3.04, 4 Ag 3.04
Pt: 0.7500 0.7500 0.7500  4 Ag 3.04, 4 Pr 3.04
Au: 0.2500 0.2500 0.2500  4 Pr 3.04, 4 Ag 3.04
Au: 0.2500 0.7500 0.7500  4 Pr 3.04, 4 Ag 3.04
Au: 0.7500 0.2500 0.7500  4 Pr 3.04, 4 Ag 3.04
Au: 0.7500 0.7500 0.2500  4 Pr 3.04, 4 Ag 3.04

* * * * *

No. 1
This record from the Alexandria database describes a relaxed LaY3Ho2Bi6 crystal. The functional is GGA-PBE. Values from VASP.

Output
DOS(E_F)	2.35	states/eV/cell
E	-67.5	eV per cell
symmetry	C2/m, No. 12

Geometry as Quantum ESPRESSO input:
```
&SYSTEM
  ibrav = 0, nat = 12, ntyp = 4
/
ATOMIC_SPECIES
La 138.91 La.upf
Y 88.91 Y.upf
Ho 164.93 Ho.upf
Bi 208.98 Bi.upf
ATOMIC_POSITIONS crystal
La 0.000 0.000 0.000
Y 0.163 0.837 0.500
Y 0.837 0.163 0.500
Y 0.500 0.500 0.500
Ho 0.332 0.668 0.000
Ho 0.668 0.332 0.000
Bi 0.915 0.574 0.746
Bi 0.742 0.742 0.251
Bi 0.085 0.426 0.254
Bi 0.574 0.915 0.746
Bi 0.258 0.258 0.749
Bi 0.426 0.085 0.254
CELL_PARAMETERS angstrom
-2.562 2.680 6.888
-4.471 -4.829 -4.227
5.399 -5.072 2.499
```

=====

No. 2
This record from the Alexandria database describes a relaxed Hf2SeS crystal. The functional is GGA-PBE. Values from VASP.

Output
DOS(E_F)	7.11	states/eV/cell
E	-59.8	eV per cell
E_form (uncorrected)	-0.5898	eV per atom
symmetry	I-42d, No. 122
ΔE to the lowest computed polymorph	2.13	eV/f.u.

Geometry as Quantum ESPRESSO input:
```
&SYSTEM
  ibrav = 0, nat = 8, ntyp = 3
/
ATOMIC_SPECIES
S 32.06 S.upf
Hf 178.49 Hf.upf
Se 78.96 Se.upf
ATOMIC_POSITIONS crystal
S 0.500 0.500 0.000
S 0.250 0.750 0.500
Hf 0.588 0.125 0.250
Hf 0.162 0.625 0.250
Hf 0.375 0.412 0.750
Hf 0.875 0.838 0.750
Se 0.000 0.000 0.000
Se 0.750 0.250 0.500
CELL_PARAMETERS angstrom
5.238 0.000 0.000
0.000 5.238 0.000
2.619 2.619 7.013
```

=====

No. 3
This record from the Alexandria database describes a relaxed TaSbS2N crystal. The functional is GGA-PBE. Values from VASP.

Output
DOS(E_F)	3.34	states/eV/cell
E	-33.0	eV per cell
E_form (uncorrected)	-0.0878	eV per atom
symmetry	P4/mmm, No. 123
ΔE to the lowest computed polymorph	0.00	eV/f.u.

Geometry as Quantum ESPRESSO input:
```
&SYSTEM
└──
The materials data stop here =

09-10-2009, 05:16 PM
i agree with u dash, i cant wait to get my htc hero.....

09-10-2009, 05:27 PM
i agree with u dash, i cant wait to get my htc hero.....

me too! im getting a tp2, them im ma turn around and sell it cash, so i can get the hero, shit i might get 2 heros! lol.

09-10-2009, 05:29 PM
now thats some smart thinking..........

_Misplaced crystal structures_
┌──
The following is a DFT calculation (GGA-PBE) of a geometry-optimized Ac6Tl5Cd structure.

The structure in extended XYZ format:
```
12
Lattice="5.860 0.000 0.000 0.000 8.186 0.000 -2.898 0.000 8.799" Properties=species:S:1:pos:R:3 pbc="T T T"
Ac 0.000 2.037 0.000
Ac 0.000 6.149 0.000
Ac 0.021 2.027 5.869
Ac 0.021 6.159 5.869
Ac 2.941 2.027 2.930
Ac 2.941 6.159 2.930
Tl 0.009 0.000 2.876
Tl 0.011 4.093 2.941
Tl 2.930 4.093 0.000
Tl 2.951 4.093 5.858
Tl 2.952 0.000 5.923
Cd 2.930 0.000 0.000
```

Values from the calculation:
ΔE to the lowest computed polymorph (meV per atom): 0
Energy of formation (eV/atom): -0.34
DOS at the Fermi energy (states/eV/atom): 1.309

----------

(1)
{"formula": "Th4Bi2OsS", "functional": "GGA-PBE", "state": "relaxed", "crystal_system": "monoclinic", "e_form_raw_kj_per_mol_fu": -652, "dos_ef_per_ev_atom": 0.7934, "lattice_angstrom": [[4.260, 0.000, 0.000], [0.000, 7.503, 0.096], [0.000, -2.657, 7.391]], "species": ["Os", "S", "Th", "Th", "Th", "Th", "Bi", "Bi"], "frac_coords": [[0.500, 0.500, 0.000], [0.000, 0.000, 0.000], [0.000, 0.281, 0.795], [0.500, 0.758, 0.789], [0.500, 0.242, 0.211], [0.000, 0.719, 0.205], [0.500, 0.000, 0.500], [0.000, 0.500, 0.500]]}



(2)
{"formula": "HfScCrFe", "functional": "GGA-PBE", "state": "relaxed", "crystal_system": "cubic", "dos_ef_per_ev_atom": 0.8915, "ef_ev_per_atom": 0.0261, "lattice_angstrom": [[4.526, 0.000, 0.000], [2.263, 3.920, 0.000], [2.263, 1.307, 3.696]], "species": ["Cr", "Hf", "Sc", "Fe"], "frac_coords": [[0.750, 0.750, 0.750], [0.500, 0.500, 0.500], [0.000, 0.000, 0.000], [0.250, 0.250, 0.250]]}



(3)
{"formula": "SrTl2HgPt", "functional": "GGA-PBE", "state": "relaxed", "crystal_system": "tetragonal", "dos_ef_per_ev_atom": 0.4776, "ef_ev_per_atom": -0.2936, "lattice_angstrom": [[-2.415, -4.174, -2.239], [2.600, -3.269, 3.289], [-4.396, 0.444, 3.915]], "species": ["Tl", "Tl", "Pt", "Hg", "Sr"], "frac_coords": [[0.500, 0.000, 0.000], [0.000, 0.500, 0.000], [0.000, 0.000, 0.000], [0.500, 0.500, 0.500], [0.000, 0.000, 0.500]]}



Magnetization across the listed records, respectively: 0.000; 2.829; 0.000 μB/cell.
Calculated total energy across the listed records, respectively: -7.4440; -8.5666; -2.8450 eV per atom.

----------

Entry 1:
VASP calculation (PBE) on a relaxed ReAgF5 crystal.

a b c (Å): 5.781 5.781 7.890
angles (deg): 72.84 72.84 76.13
Atoms (fractional coordinates):
Re  0.000  0.000  0.000
Re  0.000  0.000  0.500
Ag  0.514  0.486  0.750
Ag  0.486  0.514  0.250
F  0.293  0.155  0.883
F  0.318  0.786  0.514
F  0.155  0.293  0.383
F  0.927  0.073  0.750
F  0.214  0.682  0.986
F  0.786  0.318  0.014
F  0.073  0.927  0.250
F  0.845  0.707  0.617
F  0.682  0.214  0.486
F  0.707  0.845  0.117

Entry 2:
VASP calculation (PBE) on a relaxed Er4Tl2Ru crystal.

Results
Energy relative to the elements   -228 meV/atom

a b c (Å): 3.510 9.088 9.161
angles (deg): 137.81 90.00 90.00
Atoms (fractional coordinates):
Er  0.500  0.892  0.741
Er  0.000  0.438  0.195
└──
_End of the crystal structures_

09-10-2009, 05:31 PM
i agree with u dash, i cant wait to get my htc hero.....

Next to the page, the page also holds calculated crystals:
(1)
Compound: ZrAs2Pb
Source: Alexandria via LeMat-Bulk
Functional: PBE
Structure: relaxed

The structure in CIF format:
```
data_ZrAs2Pb
_space_group_name_H-M_alt 'I m m 2'
_space_group_IT_number 44
_cell_length_a 3.626
_cell_length_b 3.838
_cell_length_c 14.273
_cell_angle_alpha 90.00
_cell_angle_beta 90.00
_cell_angle_gamma 90.00
loop_
_space_group_symop_operation_xyz
'x,y,z'
'-x,-y,z'
'-x,y,z'
'x,-y,z'
'x+1/2,y+1/2,z+1/2'
'-x+1/2,-y+1/2,z+1/2'
'-x+1/2,y+1/2,z+1/2'
'x+1/2,-y+1/2,z+1/2'
loop_
_atom_site_label
_atom_site_fract_x
_atom_site_fract_y
_atom_site_fract_z
Zr1 0.000 0.000 0.000
As1 0.000 0.000 0.561
As2 0.000 0.500 0.356
Pb1 0.000 0.500 0.752
```

Properties
**Energy of formation from the pure elements**: -9.83 kcal/mol of atoms

(2)
Compound: Sc6In2Cu
Source: Alexandria via LeMat-Bulk
Functional: PBE
Structure: relaxed

The structure in CIF format:
```
data_Sc6In2Cu
_space_group_name_H-M_alt 'P -6 2 m'
_space_group_IT_number 189
_space_group_name_Hall 'P -6 -2'
_cell_length_a 8.1968
_cell_length_b 8.1968
_cell_length_c 3.5021
_cell_angle_alpha 90.00
_cell_angle_beta 90.00
_cell_angle_gamma 120.00
loop_
_atom_site_label
_atom_site_fract_x
_atom_site_fract_y
_atom_site_fract_z
Sc1 0.0000 0.3882 0.0000
Sc2 0.0000 0.7479 0.5000
In1 0.3333 0.6667 0.5000
Cu1 0.0000 0.0000 0.0000
```

Properties
**Energy of formation from the pure elements**: -6.43 kcal/mol of atoms

(3)
Compound: Cs2UBiSe6
Source: Alexandria via LeMat-Bulk
Functional: PBE
Structure: relaxed

The structure in CIF format:
```
data_Cs2UBiSe6
_space_group_name_H-M_alt 'P m m n'
_space_group_IT_number 59
_cell_length_a 7.894
_cell_length_b 11.164
_cell_length_c 7.895
_cell_angle_alpha 90.00
_cell_angle_beta 90.00
_cell_angle_gamma 90.00
loop_
_space_group_symop_operation_xyz
'x,y,z'
'-x,-y,-z'
'-x+1/2,-y+1/2,z'
'x+1/2,y+1/2,-z'
'x+1/2,-y,-z'
'-x+1/2,y,z'
'-x,y+1/2,-z'
'x,-y+1/2,z'
loop_
_atom_site_label
_atom_site_fract_x
_atom_site_fract_y
_atom_site_fract_z
Cs1 0.250 0.000 0.250
U1 0.250 0.250 0.749
Bi1 0.250 0.750 0.750
Se1 0.010 0.250 0.510
Se2 0.010 0.250 0.989
Se3 0.250 0.010 0.750
```

Properties
**Formation energy from raw total energies**: -848.1 meV per atom

(4)
Compound: HfNb2CrNi
Source: Alexandria via LeMat-Bulk
Functional: PBE
Structure: relaxed

The structure in CIF format:
```
data_HfNb2CrNi
_space_group_name_H-M_alt 'P 4/m m m'
_space_group_IT_number 123
_space_group_name_Hall '-P 4 2'
_cell_length_a 4.556
_cell_length_b 4.556
_cell_length_c 4.420
_cell_angle_alpha 90.00
_cell_angle_beta 90.00
_cell_angle_gamma 90.00
loop_
_atom_site_label
_atom_site_fract_x
_atom_site_fract_y
_atom_site_fract_z
Hf1 0.000 0.000 0.000
Nb1 0.000 0.500 0.500
Cr1 0.500 0.500 0.500
Ni1 0.500 0.500 0.000
```

Properties
**Energy of formation from the pure elements**: 15.73 kcal/mol of atoms

(5)
Compound: InGa2C
Source: Alexandria via LeMat-Bulk
Functional: PBE
Structure: relaxed

The structure in CIF format:
```
data_InGa2C
_space_group_name_H-M_alt 'F m -3 m'

u and i both, i passed on the pre ! passing on the tp2 and finally i get MY HERO.!!!!! lol

09-12-2009, 12:10 AM
u and i both, i passed on the pre ! passing on the tp2 and finally i get MY HERO.!!!!! lol

awww im glad that im your hero elboriyorker :smile: